_Contents_
- - -
1.
{
  "formula": "C24H31AuN5O2SSeSi",
  "method": "ωB97M-V/def2-TZVPD",
  "orbital_gap_ev": [6.428, 3.301],
  "energy_ev": -124683.253,
  "total_charge": 1,
  "lumo_ev": [-3.33, -6.46],
  "multiplicity": 3,
  "elements": ["Au", "O", "C", "O", "C", "C", "C", "N", "C", "C", "C", "C", "C", "C", "C", "N", "C", "C", "C", "C", "C", "N", "H", "H", "H", "H", "H", "H", "H", "H", "H", "H", "C", "Si", "C", "C", "Se", "H", "H", "H", "H", "H", "H", "H", "H", "H", "C", "C", "N", "C", "S", "N", "C", "C", "H", "H", "H", "H", "H", "H", "H", "H", "H", "H", "H", "H"],
  "xyz": [[0.49673, -0.20298, 0.63147], [0.05005, 1.72568, -6.14853], [-0.27039, 2.51129, -5.25664], [-0.71382, 3.65626, -5.16597], [-0.03731, 1.85379, -3.78192], [-0.33691, 2.58180, -2.64467], [-0.20273, 1.96563, -1.40756], [0.21993, 0.70130, -1.32516], [0.53037, -0.01096, -2.41202], [0.41665, 0.55152, -3.67614], [0.97941, -1.39521, -2.17173], [1.04125, -2.35258, -3.17618], [1.45167, -3.63670, -2.86007], [1.78800, -3.94314, -1.54949], [1.69865, -2.94153, -0.60242], [1.31170, -1.70464, -0.90915], [-0.52804, 2.62017, -0.12578], [-1.23924, 3.81127, -0.04814], [-1.54733, 4.33423, 1.19628], [-1.14112, 3.66102, 2.33912], [-0.42910, 2.48715, 2.18377], [-0.12700, 1.98884, 0.98745], [-0.65772, 3.60867, -2.75386], [0.67954, 0.01532, -4.57775], [0.75477, -2.10407, -4.18730], [1.50089, -4.39296, -3.63158], [2.10409, -4.93664, -1.26633], [1.94346, -3.11893, 0.43761], [-1.56365, 4.31433, -0.94684], [-2.10686, 5.25669, 1.27116], [-1.37519, 4.03327, 3.32584], [-0.08185, 1.91815, 3.03778], [3.51717, 1.33001, 2.17963], [3.43890, -0.26462, 3.16313], [4.58513, -1.63734, 2.58597], [3.55097, -0.05728, 5.02369], [1.25975, -1.12611, 2.77420], [4.46498, 1.84079, 2.36268], [2.70981, 2.00524, 2.46902], [3.43290, 1.13985, 1.10862], [5.58093, -1.47128, 3.00033], [4.66761, -1.68264, 1.49960], [4.22985, -2.60424, 2.94717], [4.58926, 0.12953, 5.30356], [3.22133, -0.96735, 5.52744], [2.94392, 0.77234, 5.38744], [-3.51565, -4.53830, 3.33261], [-2.76463, -3.27446, 3.74989], [-2.20947, -2.53698, 2.61803], [-2.88641, -1.75007, 1.77840], [-2.11266, -0.96348, 0.47013], [-4.19904, -1.61195, 1.96781], [-5.10681, -0.81577, 1.14716], [-5.78849, -1.65075, 0.07052], [-3.92066, -5.03889, 4.21172], [-2.84065, -5.22644, 2.82504], [-4.34252, -4.32089, 2.65647], [-1.91935, -3.54405, 4.38075], [-3.40886, -2.61479, 4.33751], [-1.22561, -2.61253, 2.46138], [-4.63668, -2.21499, 2.64693], [-4.52969, -0.01469, 0.69411], [-5.84721, -0.37470, 1.81472], [-5.04429, -2.08529, -0.59705], [-6.45830, -1.02406, -0.51683], [-6.37401, -2.45798, 0.51322]]
}

---

2.
{
  "formula": "C24H31BN9OSn",
  "method": "ωB97M-V/def2-TZVPD",
  "orbital_gap_ev": [8.228, 6.220],
  "energy_ev": -47346.467,
  "relative_energy_kcal_mol": 4.5,
  "total_charge": 2,
  "lumo_ev": [-5.69, -7.70],
  "multiplicity": 2,
  "elements": ["Sn", "C", "C", "C", "C", "N", "N", "B", "N", "C", "C", "C", "C", "N", "N", "C", "C", "C", "C", "N", "N", "C", "C", "C", "C", "N", "H", "H", "H", "H", "H", "H", "H", "H", "H", "H", "H", "H", "H", "H", "H", "H", "H", "H", "H", "H", "O", "C", "C", "C", "C", "C", "C", "C", "C", "N", "H", "H", "H", "H", "H", "H", "H", "H", "H", "H", "H"],
- - -

_What to do_
Type out the whole of the data further up verbatim.

_Here it is_
1.
{
  "formula": "C24H31AuN5O2SSeSi",
  "method": "ωB97M-V/def2-TZVPD",
  "orbital_gap_ev": [6.428, 3.301],
  "energy_ev": -124683.253,
  "total_charge": 1,
  "lumo_ev": [-3.33, -6.46],
  "multiplicity": 3,
  "elements": ["Au", "O", "C", "O", "C", "C", "C", "N", "C", "C", "C", "C", "C", "C", "C", "N", "C", "C", "C", "C", "C", "N", "H", "H", "H", "H", "H", "H", "H", "H", "H", "H", "C", "Si", "C", "C", "Se", "H", "H", "H", "H", "H", "H", "H", "H", "H", "C", "C", "N", "C", "S", "N", "C", "C", "H", "H", "H", "H", "H", "H", "H", "H", "H", "H", "H", "H"],
  "xyz": [[0.49673, -0.20298, 0.63147], [0.05005, 1.72568, -6.14853], [-0.27039, 2.51129, -5.25664], [-0.71382, 3.65626, -5.16597], [-0.03731, 1.85379, -3.78192], [-0.33691, 2.58180, -2.64467], [-0.20273, 1.96563, -1.40756], [0.21993, 0.70130, -1.32516], [0.53037, -0.01096, -2.41202], [0.41665, 0.55152, -3.67614], [0.97941, -1.39521, -2.17173], [1.04125, -2.35258, -3.17618], [1.45167, -3.63670, -2.86007], [1.78800, -3.94314, -1.54949], [1.69865, -2.94153, -0.60242], [1.31170, -1.70464, -0.90915], [-0.52804, 2.62017, -0.12578], [-1.23924, 3.81127, -0.04814], [-1.54733, 4.33423, 1.19628], [-1.14112, 3.66102, 2.33912], [-0.42910, 2.48715, 2.18377], [-0.12700, 1.98884, 0.98745], [-0.65772, 3.60867, -2.75386], [0.67954, 0.01532, -4.57775], [0.75477, -2.10407, -4.18730], [1.50089, -4.39296, -3.63158], [2.10409, -4.93664, -1.26633], [1.94346, -3.11893, 0.43761], [-1.56365, 4.31433, -0.94684], [-2.10686, 5.25669, 1.27116], [-1.37519, 4.03327, 3.32584], [-0.08185, 1.91815, 3.03778], [3.51717, 1.33001, 2.17963], [3.43890, -0.26462, 3.16313], [4.58513, -1.63734, 2.58597], [3.55097, -0.05728, 5.02369], [1.25975, -1.12611, 2.77420], [4.46498, 1.84079, 2.36268], [2.70981, 2.00524, 2.46902], [3.43290, 1.13985, 1.10862], [5.58093, -1.47128, 3.00033], [4.66761, -1.68264, 1.49960], [4.22985, -2.60424, 2.94717], [4.58926, 0.12953, 5.30356], [3.22133, -0.96735, 5.52744], [2.94392, 0.77234, 5.38744], [-3.51565, -4.53830, 3.33261], [-2.76463, -3.27446, 3.74989], [-2.20947, -2.53698, 2.61803], [-2.88641, -1.75007, 1.77840], [-2.11266, -0.96348, 0.47013], [-4.19904, -1.61195, 1.96781], [-5.10681, -0.81577, 1.14716], [-5.78849, -1.65075, 0.07052], [-3.92066, -5.03889, 4.21172], [-2.84065, -5.22644, 2.82504], [-4.34252, -4.32089, 2.65647], [-1.91935, -3.54405, 4.38075], [-3.40886, -2.61479, 4.33751], [-1.22561, -2.61253, 2.46138], [-4.63668, -2.21499, 2.64693], [-4.52969, -0.01469, 0.69411], [-5.84721, -0.37470, 1.81472], [-5.04429, -2.08529, -0.59705], [-6.45830, -1.02406, -0.51683], [-6.37401, -2.45798, 0.51322]]
}

---

2.
{
  "formula": "C24H31BN9OSn",
  "method": "ωB97M-V/def2-TZVPD",
  "orbital_gap_ev": [8.228, 6.220],
  "energy_ev": -47346.467,
  "relative_energy_kcal_mol": 4.5,
  "total_charge": 2,
  "lumo_ev": [-5.69, -7.70],
  "multiplicity": 2,
  "elements": ["Sn", "C", "C", "C", "C", "N", "N", "B", "N", "C", "C", "C", "C", "N", "N", "C", "C", "C", "C", "N", "N", "C", "C", "C", "C", "N", "H", "H", "H", "H", "H", "H", "H", "H", "H", "H", "H", "H", "H", "H", "H", "H", "H", "H", "H", "H", "O", "C", "C", "C", "C", "C", "C", "C", "C", "N", "H", "H", "H", "H", "H", "H", "H", "H", "H", "H", "H"],